Account Summary

Followers Count


Friends Count


Tweets Count


List Count



Braga, Portugal



Followers Analysis (based on followers sample)


Number of Verified accounts


Percentage of Verified accounts



Number of Protected accounts


Percentage of Protected accounts



Average Age of Twitter accounts

8 years


Number of users without a Bio


Number of users with a Bio


Percentage of users with a Bio


Percentage of users without a Bio


Worldcloud of Bios

List of top 10 keywords used in bios

Word Frequency
chelsea 3001
football 2849
love 1984
fc 1758
sports 1493
life 1386
god 1093
music 1076
botafogo 1002
soccer 754

List of top 10 hashtags used in bios

Hashtag Frequency
#cfc 289
#ktbffh 219
#chelsea 132
#chelseafc 113
#ffc 88
#coyw 55
#football 42
#mufc 35
#1 33
#readingfc 32

### Between two parts of the page: crystal structures
........
! V2O5 (PBE+U, relaxed); values from VASP
&SYSTEM
  ibrav = 0, nat = 105, ntyp = 2
/
ATOMIC_SPECIES
V 50.94 V.upf
O 16.00 O.upf
ATOMIC_POSITIONS crystal
V 0.000 0.000 0.000
V 0.002 0.095 0.575
V 0.031 0.880 0.422
V 0.051 0.724 0.715
V 0.072 0.335 0.620
V 0.077 0.639 0.126
V 0.205 0.107 0.708
V 0.250 0.693 0.366
V 0.285 0.904 0.934
V 0.311 0.228 0.331
V 0.317 0.797 0.576
V 0.344 0.349 0.105
V 0.357 0.053 0.470
V 0.409 0.081 0.820
V 0.465 0.555 0.216
V 0.489 0.595 0.465
V 0.502 0.968 0.002
V 0.554 0.368 0.905
V 0.561 0.336 0.532
V 0.622 0.506 0.680
V 0.637 0.106 0.403
V 0.691 0.795 0.877
V 0.727 0.091 0.131
V 0.755 0.465 0.260
V 0.794 0.383 0.025
V 0.797 0.858 0.618
V 0.896 0.972 0.770
V 0.919 0.331 0.432
V 0.930 0.207 0.851
V 0.939 0.634 0.965
O 0.002 0.868 0.288
O 0.003 0.405 0.512
O 0.022 0.638 0.639
O 0.031 0.659 0.851
O 0.032 0.975 0.303
O 0.034 0.133 0.922
O 0.050 0.054 0.715
O 0.051 0.545 0.040
O 0.059 0.599 0.268
O 0.062 0.002 0.494
O 0.127 0.203 0.593
O 0.143 0.601 0.338
O 0.143 0.781 0.447
O 0.143 0.945 0.012
O 0.176 0.404 0.651
O 0.193 0.774 0.674
O 0.205 0.343 0.095
O 0.207 0.684 0.100
O 0.223 0.329 0.353
O 0.256 0.094 0.372
O 0.260 0.996 0.814
O 0.267 0.785 0.907
O 0.277 0.778 0.268
O 0.287 0.187 0.773
O 0.313 0.913 0.488
O 0.316 0.074 0.598
O 0.349 0.687 0.491
O 0.372 0.911 0.057
O 0.377 0.475 0.149
O 0.385 0.591 0.338
O 0.389 0.246 0.200
O 0.407 0.207 0.428
O 0.420 0.333 0.979
O 0.429 0.803 0.641
O 0.445 0.935 0.872
O 0.455 0.295 0.615
O 0.459 0.108 0.940
O 0.495 0.661 0.141
O 0.508 0.023 0.435
O 0.508 0.452 0.456
O 0.515 0.094 0.729
O 0.533 0.468 0.800
O 0.535 0.593 0.595
O 0.592 0.725 0.840
O 0.593 0.655 0.394
O 0.600 0.482 0.244
O 0.613 0.029 0.090
O 0.622 0.268 0.855
O 0.633 0.872 0.975
O 0.634 0.231 0.460
O 0.648 0.416 0.995
O 0.663 0.392 0.610
O 0.689 0.935 0.541
O 0.697 0.097 0.270
O 0.729 0.217 0.078
O 0.731 0.748 0.627
O 0.738 0.023 0.480
O 0.745 0.548 0.711
O 0.750 0.890 0.768
O 0.788 0.407 0.386
O 0.808 0.702 0.927
O 0.809 0.378 0.161
O 0.819 0.577 0.229
O 0.835 0.116 0.825
O 0.857 0.501 0.982
O 0.867 0.023 0.637
O 0.872 0.029 0.089
O 0.873 0.302 0.937
O 0.905 0.846 0.499
O 0.908 0.209 0.512
O 0.948 0.833 0.701
O 0.949 0.932 0.895
O 0.968 0.725 0.058
O 0.979 0.290 0.738
O 0.997 0.307 0.326
CELL_PARAMETERS angstrom
11.436 0.000 0.000
0.604 12.631 0.000
1.184 1.244 12.857
! Final energy: -0.268 Ha/atom
! Energy with MP2020 corrections: -830.0 eV/cell
! Formation enthalpy at 0 K: -171.3 kJ/mol of atoms

----------

Record 1
# HoUTe4, relaxed, DFT GGA-PBE
# symmetry: Imm2, No. 44
data_HoUTe4
_chemical_formula_sum 'Ho1 U1 Te4'
_space_group_name_H-M_alt 'P 1'
_space_group_IT_number 1
_space_group_name_Hall 'P 1'
_cell_length_a 7.9736
_cell_length_b 7.9736
_cell_length_c 7.9736
_cell_angle_alpha 149.49
_cell_angle_beta 135.06
_cell_angle_gamma 55.29
loop_
_atom_site_label
_atom_site_type_symbol
_atom_site_fract_x
_atom_site_fract_y
_atom_site_fract_z
Ho1 Ho 0.0000 0.0000 0.0000
U1 U 0.2756 0.2756 0.0000
........
### So much for the crystal structures

Top 10 followers with the highest follower count

Username Followers Count Friends Count Tweet Count
JohnCena 14103606 572001 7449
sportv 4078155 1842 308633
willianborges88 3683752 227 2432
benlandis 2849833 1517902 1125
sportbible 2083678 3226 88718
KameronBennett 1812729 1488726 96269
SoccerKingJP 1351656 464969 238153
soledadobrien 1318396 422492 124833
tribundergi 1296272 3589 398730
LILBTHEBASEDGOD 1248696 1242257 266195

Top 10 followers with the highest following count

Username Friends Count Followers Count Tweet Count
benlandis 1517902 2849833 1125
KameronBennett 1488726 1812729 96269
LILBTHEBASEDGOD 1242257 1248696 266195
LeBronJames 968822 998906 3370
Warx2TheMovie 750724 230405 33653
jnob911 700873 433674 63045
JohnCena 572001 14103606 7449
SoccerKingJP 464969 1351656 238153
wefollowbackd 451792 457142 7395
BeefEnt 430860 145193 518048

Top 10 followers with the highest tweet count

Username Tweets Count Followers Count Friends Count
nlopes952 1163274 19042 19385
Edilton09 1033301 1866 947
bech_normand 758962 1468 3399
hadarse 558298 14729 8434
MachoDeSungaxx 543017 51911 28096
BeefEnt 518048 145193 430860
jesus1912ozuna 500536 8490 2212
arilprinxce 484015 3 1944
OlumideIDOWU 473867 57673 34998
kris1179 470868 23685 10071

Top 10 followers with the highest listed count

Username Listed Count Friends Count Followers Count
JohnCena 31681 572001 14103606
PamMktgNut 11504 127295 281245
soledadobrien 10588 422492 1318396
SoccerKingJP 7257 464969 1351656
sportv 5917 1842 4078155
LILBTHEBASEDGOD 4924 1242257 1248696
MelissaJoanHart 4705 156377 631393
benlandis 4430 1517902 2849833
sportbible 4002 3226 2083678
xenfts 2668 48508 44275

Tweets Analysis


Total number of tweets analysed


Earliest tweet was on


Latest tweet was on


Tweets covering

3,982 days

Types of Tweets

Number of Retweets


Percentage of total tweets


Number of Original tweets


Percentage of total tweets


Number of tweets that contain Mentions


Percentage of total tweets


Number of tweets that were Replies


Percentage of total tweets


Number of tweets that were Quotes


Percentage of total tweets


Number of tweets that contain Hashtags


Percentage of total tweets


Top 10 tweets with highest Retweet count

ID Text Retweet count
333216740223893506 Congrats Lamps!!!!! What a player #cfc #legend 4062
556471880828215297 Omg how well @ChelseaFC is playing today... That is such a great football 2806
488037351864946689 #SorriaBrasil #BRA 💚💛 2681
330054934424854531 He did it AGAIN!!!!!! Oh my God @DavidLuiz_4 what a goal #chelsea #europaleague 2219
368707120562049025 Have to say Happy Birthday to this place that received us so well last month!! Happy Birthday Indonesia 2177
341551491582148608 The special one is back! Great news #CFC 1981
594869868291346432 Blue is the color. Congratulations, @ChelseaFC . Champion of the Premier League. #CFC 1934
572031930071457792 My heart is blue. Come on @ChelseaFC Good Luck friends. #CFC 1916
572092925368254465 Congratulations @ChelseaFC. 🔵⚪ 🏆👏👏👏 1828
359499356874870784 Thanks Malaysia for your love! Heading to Jakarta now.. God Bless #CFCAsiaTour 1621

Top 10 tweets with highest Reply count

ID Text Reply count
1502056195107995657 Feliz em estar de volta a casa depis de tanto tempo, pronto pra honrar essa camisa de tanta história e tradição. Obrigado pelas mensagens de carinho e que seja um ano de vitórias pra nós! Vamos com tudo 🔥 @Botafogo 716
1539031118246301707 Jogos e momentos como o de ontem só nos une ainda mais! Tamo juntasso família 🔥 @Botafogo 634
488037351864946689 #SorriaBrasil #BRA 💚💛 308
368707120562049025 Have to say Happy Birthday to this place that received us so well last month!! Happy Birthday Indonesia 256
291286759965351936 Just arrived at the hotel in Málaga , spent all day at the club and now is everything ready to start training! Tks everyone for the support 256
366906060163907585 First day at the new club @MijnVitesse ! #Vitesse 237
357813126474891264 Just arrived at the hotel in Kuala Lumpur! Good evening Malaysia! #CFCtourAsia2013 204
164005315380129792 Going to Wales now , I'm very happy to be in first team today ! Kisses , thanks all 202
282975160032694272 What a special night!!! 🎉😋👻😂 #penalty 196
556471880828215297 Omg how well @ChelseaFC is playing today... That is such a great football 193

Top 10 tweets with highest Quote count

ID Text Quote count
1502056195107995657 Feliz em estar de volta a casa depis de tanto tempo, pronto pra honrar essa camisa de tanta história e tradição. Obrigado pelas mensagens de carinho e que seja um ano de vitórias pra nós! Vamos com tudo 🔥 @Botafogo 89
885911368397991937 YES I am back! Couldn't be happier to join this club again! Can't wait to start, to see the boys again and to get the job done this season! 52
1539031118246301707 Jogos e momentos como o de ontem só nos une ainda mais! Tamo juntasso família 🔥 @Botafogo 50
983811234008100865 well it should have been more but the 1-0 gave us what we needed! Great night at the cottage lovely support from our fans and gotta give a shoutout to the reading fans that sang my name all game! Aprecciate it guys #COYW 💪🏼♥️ 50
835635363515363328 Thanks God the operation was fine! Will be out for a while but I am coming back, can't finish my season for the whites like that 45
865638415978577922 39
821369166489862144 #COYW #MakeHistory 37
821338337713782784 Now it is for real. Just signed all the paperwork so I can stay till the end of the season! 😁 #COYW 32
820323408718209028 Loan spell ending tomorrow but monday I should be signing the extension! 😁 28
771446381059907585 It feels great to be wearing this uniform, it is a big honor for me to join @FulhamFC. 27

Top 10 tweets with highest Like count

ID Text Like count
1539031118246301707 Jogos e momentos como o de ontem só nos une ainda mais! Tamo juntasso família 🔥 @Botafogo 12068
1502056195107995657 Feliz em estar de volta a casa depis de tanto tempo, pronto pra honrar essa camisa de tanta história e tradição. Obrigado pelas mensagens de carinho e que seja um ano de vitórias pra nós! Vamos com tudo 🔥 @Botafogo 11263
1174049221441462273 2587
488037351864946689 #SorriaBrasil #BRA 💚💛 2576
1000472586277539840 WHAT A MOMENT!!! THANK YOU BOYS, FANS, STAFF, THANK YOU @fulhamfc YOU ALL DESERVE IT ♥️ #COYW 2120
898191933843152896 It wasn't a broken jaw and it won't be a broken fibula that will stop me I will be back as soon as I can. Thank FFC fans and CFC fans 2078
556471880828215297 Omg how well @ChelseaFC is playing today... That is such a great football 2076
885911368397991937 YES I am back! Couldn't be happier to join this club again! Can't wait to start, to see the boys again and to get the job done this season! 1692
954777059125071872 Back in august I heard I would be back playing just in February. It is January it is my birthday and I had the best gift I could ask.. Thank you Lord for so many blessings ❤️🙌🏼 1513
572031930071457792 My heart is blue. Come on @ChelseaFC Good Luck friends. #CFC 1299

Top 3 Languages Used In Tweets

Top 10 Hashtags used

Hashtag Count
#coyw 97
#cfc 34
#ffc 32
#teampiazon 20
#sge 13
#cfctour 12
#bra 11
#brasil 9
#sorriabrasil 7
#blues 7

Top 10 Hashtags Used In Tweets

Top 10 mentions

Hashtag Count
@fulhamfc 52
@lucaspiazon 43
@chelseafc 38
@davidluiz_4 28
@lpiazon 24
@fabianodesouza 21
@readingfc 21
@jornalismofc 18
@_mamontoro 18
@lidi__ 14

Top 10 mentions

The text is interrupted by calculated crystals:
The following is a DFT calculation (r²SCAN) of a relaxed AcZnAu2 crystal.

a = 5.1298 Å, b = 5.1298 Å, c = 5.1298 Å
α = 60.00°, β = 60.00°, γ = 60.00°
Closest atoms and distances in Å follow each position.
Fractional positions:
Au (0.0000, 0.0000, 0.0000)  4 Zn 3.14, 4 Ac 3.14
Zn (0.7500, 0.7500, 0.7500)  8 Au 3.14
Au (0.5000, 0.5000, 0.5000)  4 Ac 3.14, 4 Zn 3.14
Ac (0.2500, 0.2500, 0.2500)  8 Au 3.14

Calculated values
Magnetization in μB per atom: 0.000
DFT total energy in eV/atom: -45.22


The following is a DFT calculation (r²SCAN) of a relaxed AcBr3 crystal.

a = 8.1683 Å, b = 8.1683 Å, c = 4.7235 Å
α = 90.00°, β = 90.00°, γ = 120.00°
Closest atoms and distances in Å follow each position.
Fractional positions:
Br (0.3002, 0.9146, 0.7500)  3 Ac 3.21-3.23
Br (0.6998, 0.0854, 0.2500)  3 Ac 3.21-3.23
Br (0.6144, 0.6998, 0.7500)  3 Ac 3.21-3.23
Br (0.9146, 0.6144, 0.2500)  3 Ac 3.21-3.23
Br (0.3856, 0.3002, 0.2500)  3 Ac 3.21-3.23
Ac (0.6667, 0.3333, 0.7500)  9 Br 3.21-3.23
Br (0.0854, 0.3856, 0.7500)  3 Ac 3.21-3.23
Ac (0.3333, 0.6667, 0.2500)  9 Br 3.21-3.23

Calculated values
Magnetization in μB per atom: 0.000
DFT total energy in eV/atom: -29.50


The following is a DFT calculation (r²SCAN) of a relaxed AcBrO crystal.

a = 4.3104 Å, b = 4.3104 Å, c = 7.5428 Å
α = 90.00°, β = 90.00°, γ = 90.00°
Closest atoms and distances in Å follow each position.
Fractional positions:
Ac (0.7500, 0.7500, 0.8350)  4 O 2.49
Br (0.7500, 0.7500, 0.3653)  5 Ac 3.40-3.54, 4 O 3.50, 4 Br 3.66
O (0.7500, 0.2500, 0.0000)  4 Ac 2.49
Ac (0.2500, 0.2500, 0.1650)  4 O 2.49
O (0.2500, 0.7500, 0.0000)  4 Ac 2.49
Br (0.2500, 0.2500, 0.6347)  5 Ac 3.40-3.54, 4 O 3.50, 4 Br 3.66

Calculated values
Magnetization in μB per atom: 0.000
DFT total energy in eV/atom: -32.61


DFT formation energy / kJ/mol of formula units: -210, -926, -962


Model 1:
Compound: Gd4Sb3
Source: the Materials Project
Functional: r2SCAN
Structure: relaxed

abc: 8.103 7.999 8.071
angles: 109.17 109.90 109.02
Positions (direct):
1 Gd 0.501 0.004 0.858
2 Gd 0.494 0.995 0.351
3 Gd 0.999 0.353 0.499
4 Gd 0.357 0.503 0.007
5 Gd 0.999 0.858 0.502
6 Gd 0.149 0.144 0.144
7 Gd 0.645 0.640 0.644
8 Gd 0.857 0.503 0.996
9 Sb 0.372 0.249 0.628
10 Sb 0.753 0.877 0.124
11 Sb 0.629 0.376 0.252
12 Sb 0.871 0.124 0.747
13 Sb 0.128 0.750 0.869
14 Sb 0.247 0.625 0.378

Values from the calculation:
Size of the total moment (Bohr magnetons per cell): 18.36

Model 2:
Compound: Gd4Sb3
Source: the Materials Project
Functional: r2SCAN
Structure: relaxed
The text goes on:

Wordcloud of Tweets

Emojis used in tweets

Emoji Count Emoji Text
59 soccer_ball
😎 27 smiling_face_with_sunglasses
👊 25 oncoming_fist
❤️ 24 red_heart
😂 23 face_with_tears_of_joy
19 red_heart
😁 19 beaming_face_with_smiling_eyes
🎉 14 party_popper
14 white_circle
🇧🇷 9 Brazil

Emojis groups

Emoji Group Count
Smileys & Emotion 194
Activities 108
People & Body 98
Flags 44
Travel & Places 40
Symbols 37
Objects 16
Animals & Nature 15
Food & Drink 12